Monday, July 06, 2015


by Michael Sheldon

Michael Sheldon will award a randomly drawn commenter via Rafflecopter a $10 Amazon/BN gift card.


How do you solve the ultimate mystery, where the murder victim has no identity and there’s no physical evidence? You go psychic—deep psychic—and hire Bruno X. Sure, you’re going to have to put up with some Yiddish trash talk and recycled borsht belt shtick. But he’s the only one who can who can stop the crime spree in the ordinarily placid Quaker community of Gardenfield, New Jersey.

Follow Bruno X in Michael Sheldon's fictional debut, THE VIOLET CROW as he fends off rabid journalists and feckless politicians; untangles webs of deceit in Professor Littlejohn’s Deviant Behavior 101 class; reveals why the Quakers are still fighting over decades-old military medical experiments; and finally, uncovers the secrets of the biotechnology firm whose symbol is The Violet Crow.


Introducing Gardenfield and Chief Buddy Black

The borough of Gardenfield is home to some 35,000 peaceful souls nestled in the friendly confines marked by Tiny’s Package Store to the north, the J. Kilmer Pub to the east, Lillian’s Tavern to the south, and the Tiki Lounge to the west. A Philadelphia suburb, it is a prosperous community with colonial roots and a variety of pretensions, including a prohibition on the sale of alcoholic beverages within Gardenfield proper. In fact, thirsty Gardenfielders simply have to drive past the town limits on any of the major roads, in order to enjoy a beer or a cocktail.

Buddy Black was not a drinking man by habit. Nor was he averse to dropping by a tavern from time to time, to see what the locals were up to and let off some steam after work. Tonight he made a beeline for Lillian’s. It had been a while. Lillian greeted him at the door. Rail thin and dyed blond, she appeared to be in her 60s and to subsist on nothing but whisky, cigarettes, and conversation. She welcomed Buddy with a hug. “Hi, hon. Nice to see you again. She’s expecting you.”

“How could she be expecting me? I only decided to come here 10 minutes ago.”

“We read the papers, too, y’know.”

- - -
An isolated molecule of C2H4N2OS2 in a non-equilibrium geometry, computed with the ωB97M-V functional and the def2-TZVPD basis.

Bonds (Å) are listed after each position.
Cartesian coordinates (Å):
1 H -0.18183 1.92352 2.24031  O11 0.960
2 H -1.49815 0.79135 -1.15705  C10 1.088
3 N -0.02958 -0.50065 -0.32657  S4 1.713, C8 1.393, C10 1.406
4 S -0.12913 -1.74432 0.84709  N3 1.713, H7 1.339
5 S 1.82994 -1.78319 -1.83453  C8 1.610
6 N -1.00606 1.43772 0.67615  C10 1.266, O11 1.416
7 H 0.76645 -1.35961 1.76495  S4 1.339
8 C 0.74806 -0.64668 -1.47283  N3 1.393, S5 1.610, H9 1.111
9 H 0.51165 0.16428 -2.19497  C8 1.111
10 C -0.90085 0.60067 -0.26780  H2 1.088, N3 1.406, N6 1.266
11 O -0.11051 1.11690 1.72526  H1 0.960, N6 1.416

Computed properties:
* HOMO energy: -0.3236 hartree
* relative energy (zero: lowest compared OMol25 entry of this formula, charge and spin): 2.8600 eV
* total charge: 0
* total energy: -1059.6382 Ha
* spin multiplicity: 1
- - -

“I’m that predictable…?” The Chief freed himself from Lil’s embrace and headed for the bar. “Daisy, did you really know I’d come here tonight?”

The woman behind the bar was dressed in tight jeans and a low-cut flower-print top. She was busy polishing a wine glass, and didn’t look up until she’d finished her task. Then she flashed a smile that was warmer than Lil’s rather spectral hug. “Buddy! I haven’t seen you since—what?—Bay of Pigs. It’s about time you came to see me.” Without asking she opened a bottle of Rolling Rock and set it down in front of the Chief.


Michael Sheldon, Author

AUTHOR Bio and Links:

== What comes next are molecular data, not part of the piece ==
=====
Entry one
The following is a quantum chemistry calculation of a structure of composition C4H12N2S, from the Open Molecules 2025 dataset.

Element x y z (Å)
1 C -0.28 0.18 -0.77
2 C 0.63 -0.03 -1.69
3 C -0.07 0.74 1.92
4 C -0.02 -0.51 0.99
5 N 0.51 0.57 -3.04
6 N -1.25 -1.47 1.23
7 S 1.52 -1.54 1.21
8 H -1.12 0.73 -0.71
9 H 1.51 -0.62 -1.51
10 H 0.71 1.32 1.54
11 H -1.05 1.18 1.85
12 H 0.20 0.26 2.80
13 H -0.37 0.67 -3.45
14 H 1.05 -0.02 -3.61
15 H 1.11 1.46 -3.03
16 H -2.14 -0.95 1.39
17 H -1.27 -2.11 0.47
18 H -0.76 -1.77 2.09
19 H 2.18 -0.31 1.37

Calculated values
- Frontier orbital gap: 0.38548 hartree
- HOMO level: -17.6 eV
- LUMO energy: -7.108 eV
- Net charge: +2

=====

Entry two
The following is a quantum chemistry calculation of a cluster of 2 separate species, C4H12N2S in total, from the Open Molecules 2025 dataset.

Element x y z (Å)
1 C -5.32 2.94 0.08
2 C -6.54 2.34 1.10
3 C 8.14 -4.83 0.00
4 C 8.38 -4.05 -1.21
5 N -5.86 4.12 -0.70
6 N -6.24 1.86 2.24
7 S 7.30 -3.21 -2.26
8 H -4.37 3.18 0.52
9 H -7.55 2.20 0.80
10 H 8.22 -3.96 0.63
11 H 8.96 -5.48 0.12
12 H 7.15 -5.35 0.20
13 H 9.45 -3.84 -1.22
14 H -4.92 4.69 -0.73
15 H -6.57 4.61 -0.24
16 H -6.20 3.96 -1.71
17 H -5.29 1.85 2.54
18 H -6.98 1.35 2.56
19 H 8.22 -2.39 -2.72

Calculated values
- Frontier orbital gap: 0.21373 hartree
- HOMO level: -13.5 eV
- LUMO energy: -7.678 eV
- Net charge: +2

=====

Which structure is the most stable? The one labeled entry two.

=====

Entry one
The following is a quantum chemistry calculation of the ion C4H10N3S with charge +1, from the Open Molecules 2025 dataset.

Element x y z (Å)
1 C -1.34 0.40 0.09
2 C 2.17 -0.54 -0.32
3 C 1.57 0.84 -0.69
4 C 0.99 0.03 0.38
5 N -1.15 1.70 0.26
6 N -0.36 -0.50 0.07
7 N -0.70 -1.83 0.22
8 S -2.96 -0.26 -0.35
9 H 1.90 -1.32 -1.04
10 H 3.09 -0.56 0.32
11 H 2.01 1.75 -0.53
12 H 1.03 0.70 -1.60
13 H 1.19 0.11 1.46
14 H -0.18 2.09 0.50
15 H -1.91 2.23 0.27
16 H -0.33 -2.62 -0.34
17 H -3.29 -0.33 1.02
18 H -1.72 -1.91 0.30

Calculated values
- Frontier orbital gap: 0.35472 hartree
- HOMO level: -13.3 eV
- LUMO energy: -3.686 eV
- Net charge: +1

=====

Entry two
The following is a quantum chemistry calculation of the ion C4H10N3S with charge +1, from the Open Molecules 2025 dataset.

Element x y z (Å)
1 C -1.00 -1.90 -0.92
2 C -0.47 -0.92 0.22
3 N 0.43 -1.64 1.04
4 N 1.42 -1.00 1.32
5 C 1.49 0.25 0.76
6 S 2.86 0.33 -0.42
7 C 0.24 0.46 -0.09
8 N -0.60 1.57 0.55
9 H -0.47 -1.86 -1.81
10 H -2.08 -1.68 -1.07
11 H -0.89 -2.92 -0.44
12 H -1.31 -0.78 0.96
13 H 1.60 1.08 1.45
14 H 3.87 -0.19 0.54
15 H 0.71 0.74 -1.05
16 H -0.45 1.57 1.63
17 H -1.53 1.87 0.10
18 H -0.02 2.48 0.22

Calculated values
- Frontier orbital gap: 0.33704 hartree
- HOMO level: -13.4 eV
- LUMO energy: -4.220 eV
- Net charge: +1
- Structure (SMILES): C[C@H]1N=N[C@@H](S)[C@@H]1[NH3+]

=====

Which structure is the most stable? The one labeled entry one.

=====

Entry one
=====

Michael was born in Philadelphia and grew up in Haddonfield, New Jersey. His father was a dentist, which accounts for his sense of humor. His mother, a Jewish mother without peer, instilled in him the idea that the world doesn’t owe you a living—and a love of raw oysters and dry martinis. His training in the craft of storytelling came from reading the masters beginning with Chaucer and Rabelais, through Sterne, to MacDonald and Westlake.

Follow the tour and comment; the more you comment, the better your chances of winning. The tour dates can be found here: 

1 comment:

Caroline Clemmons said...

Thanks for sharing, Michael. Your book sounds intriguing. Best wishes for many sales.